I know you can put the old style footboards on the Roadster with some minor swaps / mods however, I cannot for the life of me figure out why you can't take the controls from a Touring model (which looks much better than the old style footboards) and adapt them to the Roadster. Same bolting pattern on the engine but the Roadster has ABS - is it really that kind of deal breaker to run a line to the ABS?
I'm going by the dealer tomorrow to take a look at the Touring again in person to see what the hold-up might be. Anyone already knows??
It is a direct swap if you take the floorboards, controls and brake lines from a R3T ABS and swap it with a R3R ABS bike, you will need to bleed the brakes and get the ABS module reset/adapted.
If you take a R3T non ABS setup you will need a longer braided brake line, or have a solid line made up and again get the brakes bled and ABS module reset/adapted.
It is a direct swap if you take the floorboards, controls and brake lines from a R3T ABS and swap it with a R3R ABS bike, you will need to bleed the brakes and get the ABS module reset/adapted.
If you take a R3T non ABS setup you will need a longer braided brake line, or have a solid line made up and again get the brakes bled and ABS module reset/adapted.
They are shaped a little different and use a different style of heel toe shifter. Should bolt up though with the exception of working out the brake line differences and bleeding the ABS system.
# Unrelated to this entry: materials data
1.
Here is an optimized crystal structure of Re2AsRh from the Alexandria database. Energies are from GGA-PBE.

a = 4.996 Å, b = 4.996 Å, c = 4.440 Å
α = 92.63°, β = 92.63°, γ = 33.85°
Element x y z (fractional)
1 Re 0.222 0.222 0.234
2 Re 0.778 0.778 0.766
3 As 0.000 0.000 0.500
4 Rh 0.500 0.500 0.000

Computed properties:
The space group is C2/m. The magnetic moment comes out at 0.0 μB per formula unit. The mass density comes out at 14.8 Mg/m³. The calculation puts the total energy at -0.6637 Ry per atom.



2.
Here is an optimized crystal structure of ReAsRh2 from the Alexandria database. Energies are from GGA-PBE.

a = 4.795 Å, b = 4.795 Å, c = 4.795 Å
α = 132.87°, β = 132.87°, γ = 68.86°
Element x y z (fractional)
1 Re 0.000 0.000 0.000
2 As 0.500 0.500 0.000
3 Rh 0.250 0.750 0.500
4 Rh 0.750 0.250 0.500

Computed properties:
The space group is I4/mmm. The magnetic moment comes out at 0.0 μB per formula unit. The mass density comes out at 13.3 Mg/m³. The calculation puts the total energy at -0.5765 Ry per atom.



3.
Here is an optimized crystal structure of ReAsRh2 from the Alexandria database. Energies are from GGA-PBE.

a = 8.686 Å, b = 8.686 Å, c = 8.686 Å
α = 18.68°, β = 18.68°, γ = 18.68°
Element x y z (fractional)
1 Re 0.000 0.000 0.000
2 As 0.500 0.500 0.500
3 Rh 0.247 0.247 0.247
4 Rh 0.753 0.753 0.753

Computed properties:
The space group is R-3m. The magnetic moment comes out at 0.0 μB per formula unit. The mass density comes out at 13.2 Mg/m³. The calculation puts the total energy at -0.5873 Ry per atom.



4.
Here is an optimized crystal structure of ReAsRh2 from the Alexandria database. Energies are from GGA-PBE.

a = 6.842 Å, b = 6.842 Å, c = 6.842 Å
α = 132.71°, β = 132.71°, γ = 69.12°
Element x y z (fractional)
1 Re 0.000 0.000 0.000
2 Re 0.750 0.250 0.500
3 As 0.250 0.750 0.500
4 As 0.500 0.500 0.000
5 Rh 0.125 0.625 0.000
6 Rh 0.375 0.375 0.500
7 Rh 0.625 0.125 0.000
8 Rh 0.875 0.875 0.500

Computed properties:
The space group is I-42d. The magnetic moment comes out at 0.0 μB per formula unit. The mass density comes out at 9.1 Mg/m³. The calculation puts the total energy at -0.5415 Ry per atom.



5.
Here is an optimized crystal structure of ReAsRh3 from the Alexandria database. Energies are from GGA-PBE.

a = 4.697 Å, b = 4.697 Å, c = 4.697 Å
α = 90.00°, β = 90.00°, γ = 90.00°
Element x y z (fractional)
1 Re 0.000 0.000 0.000
2 As 0.500 0.500 0.500
3 Rh 0.000 0.000 0.500
4 Rh 0.000 0.500 0.000
5 Rh 0.500 0.000 0.000

Computed properties:
The space group is Pm-3m. The magnetic moment comes out at 0.0 μB per formula unit. The mass density comes out at 9.1 Mg/m³. The calculation puts the total energy at -0.4835 Ry per atom.



6.
Here is an optimized crystal structure of Re2AsRh from the Alexandria database. Energies are from GGA-PBE.

a = 5.331 Å, b = 5.331 Å, c = 5.331 Å
α = 147.96°, β = 131.36°, γ = 59.44°
Element x y z (fractional)
1 Re 0.216 0.216 0.000
2 Re 0.784 0.784 0.000
3 As 0.000 0.500 0.500
I am definitely interested in doing this swap, I have concluded that this bike is only good for short rides with the pegs under me like this, more uncomfortable than my sport bike in some ways. One thing I am not sure of is the Roadster seat vs the Touring, change to Touring floorboards, and how will the different style seat effect the foot position. No matter it has to be an improvement over the current configuration. It may work for many people but picture an offensive lineman, lifts weights and eats and drinks entirely too much and unfortunately that is my physique. I need more leg room.
It is a direct swap if you take the floorboards, controls and brake lines from a R3T ABS and swap it with a R3R ABS bike, you will need to bleed the brakes and get the ABS module reset/adapted.
### Misplaced crystal structures
┌──
This record from Alexandria describes a relaxed structure of RbHf3Cu. The functional is GGA-PBEsol.

Density of states at the Fermi level ... 3.55 states/eV/cell
Spin magnetization ... 0.000 μB per formula unit
Space-group type ... Pm-3m, No. 221
Formation energy from the elements ... 1.0275 eV per atom
Crystal system ... cubic
Calculated total energy ... -31.7 eV for the cell shown

a b c (Å): 5.0014 5.0014 5.0014
angles (deg): 90.00 90.00 90.00
Closest atoms and distances in Å follow each position.
Atoms (fractional coordinates):
Rb1 0.0000 0.0000 0.0000  12 Hf 3.54
Hf1 0.0000 0.5000 0.5000  2 Cu 2.50
Hf2 0.5000 0.0000 0.5000  2 Cu 2.50
Hf3 0.5000 0.5000 0.0000  2 Cu 2.50
Cu1 0.5000 0.5000 0.5000  6 Hf 2.50

***

This record from Alexandria describes a relaxed structure of Zr6Al16Ni7. The functional is GGA-PBEsol.

Density of states at the Fermi level ... 16.70 states/eV/cell
Spin magnetization ... 0.001 μB per formula unit
Space-group type ... Fm-3m, No. 225
Formation energy from the elements ... -0.6501 eV per atom
Crystal system ... cubic
Calculated total energy ... -182.0 eV for the cell shown

a b c (Å): 8.4683 8.4683 8.4683
angles (deg): 60.00 60.00 60.00
Closest atoms and distances in Å follow each position.
Atoms (fractional coordinates):
Zr1 0.1912 0.1912 0.8088  8 Al 2.83-3.04, 4 Ni 3.08
Zr2 0.1912 0.8088 0.1912  8 Al 2.83-3.04, 4 Ni 3.08
Zr3 0.1912 0.8088 0.8088  8 Al 2.83-3.04, 4 Ni 3.08
Zr4 0.8088 0.1912 0.1912  8 Al 2.83-3.04, 4 Ni 3.08
Zr5 0.8088 0.1912 0.8088  8 Al 2.83-3.04, 4 Ni 3.08
Zr6 0.8088 0.8088 0.1912  8 Al 2.83-3.04, 4 Ni 3.08
Al1 0.1432 0.6189 0.6189  4 Ni 2.47-2.64, 3 Al 2.69
Al2 0.1664 0.1664 0.1664  3 Ni 2.44, 3 Al 2.69
Al3 0.1664 0.1664 0.5009  3 Ni 2.44, 3 Al 2.69
Al4 0.1664 0.5009 0.1664  3 Ni 2.44, 3 Al 2.69
Al5 0.3811 0.3811 0.3811  4 Ni 2.47-2.64, 3 Al 2.69
Al6 0.3811 0.3811 0.8568  4 Ni 2.47-2.64, 3 Al 2.69
Al7 0.3811 0.8568 0.3811  4 Ni 2.47-2.64, 3 Al 2.69
Al8 0.4991 0.8336 0.8336  3 Ni 2.44, 3 Al 2.69
Al9 0.5009 0.1664 0.1664  3 Ni 2.44, 3 Al 2.69
Al10 0.6189 0.1432 0.6189  4 Ni 2.47-2.64, 3 Al 2.69
Al11 0.6189 0.6189 0.1432  4 Ni 2.47-2.64, 3 Al 2.69
Al12 0.6189 0.6189 0.6189  4 Ni 2.47-2.64, 3 Al 2.69
Al13 0.8336 0.4991 0.8336  3 Ni 2.44, 3 Al 2.69
Al14 0.8336 0.8336 0.4991  3 Ni 2.44, 3 Al 2.69
Al15 0.8336 0.8336 0.8336  3 Ni 2.44, 3 Al 2.69
Al16 0.8568 0.3811 0.3811  4 Ni 2.47-2.64, 3 Al 2.69
Ni1 0.0000 0.0000 0.5000  8 Al 2.44-2.64
Ni2 0.0000 0.5000 0.0000  8 Al 2.44-2.64
Ni3 0.0000 0.5000 0.5000  8 Al 2.44-2.64
Ni4 0.5000 0.0000 0.0000  8 Al 2.44-2.64
Ni5 0.5000 0.0000 0.5000  8 Al 2.44-2.64
Ni6 0.5000 0.5000 0.0000  8 Al 2.44-2.64
Ni7 0.5000 0.5000 0.5000  8 Al 2.47

***

This record from Alexandria describes a relaxed structure of Ca2CdPt. The functional is GGA-PBEsol.

Density of states at the Fermi level ... 2.50 states/eV/cell
Spin magnetization ... 0.000 μB per formula unit
Space-group type ... Imm2, No. 44
Formation energy from the elements ... -0.4858 eV per atom
└──
If you take a R3T non ABS setup you will need a longer braided brake line, or have a solid line made up and again get the brakes bled and ABS module reset/adapted.
Me thinks the Touring boards look horribly large and wide at the front.
Just me and I be very happy with my Standard boards . . . thank you very much, @cadconversions !